@ -0,0 +1,162 @@
Text Entities
The `entities` attribute is an array of objects that represent blocks
of text within a post that have special properties. Clients may safely
ignore these things without losing too much meaning, but in a rich
application like an Emacs or GUI implementation, they can provide
some highlighting and navigation perks. The array object may be
empty. If its not, its populated with arrays representing the
modifications to be made.
Objects **always** have a minimum of 3 attributes:
["quote", 5, 7]
object[0] is a string representing the attribute type. They are
documented below. The next two items are the indices of the
property in the body string. The way clients are to access these
indices is beyond the scope of this document; accessing a subsequence
varies a lot between programming languages.
Some objects will provide further arguments beyond those 3.
| Name | Description |
| `quote` | This is a string that refers to a previous post number. |
| | These are formatted like >>5, which means it is a |
| | reference to `post_id` 5. These are not processed in |
| | thread OPs. >>0 may be used to refer to the OP. |
| `blockquote` | This is a block of text, denoted by a newline during |
| | composure, representing text that is assumed to be |
| | a quote of someone else. |
| `color` | This is a block of text, denoted by [[color: body]] |
| | during composure. The body may span across newlines. |
| | A fourth item is provided in the array: it is one of the |
| | following strings representing the color. |
| | `red`, `green`, `yellow`, `blue`, `magenta`, or `cyan`. |
| `bold` | Like color, except that no additional attribute is |
| | provided. it is denoted as [[bold: body]] during |
| | composure. |
Threads & Replies
Threads are represented the same when using `thread_index` and
`thread_load`, except that the `replies` attribute is only
present with `thread_load`. The following attributes are
available on the parent object:
| Name | Description |
| `author` | The ID of the author |
| `thread_id` | The ID of the thread. |
| `title` | The title string of the thread |
| `body` | The body of the post's text. |
| `entities` | A (possibly empty) array of entity objects for |
| | the post `body`. |
| `tags` | An array of strings representing tags the |
| | author gave to the thread at creation. |
| | When empty, it is an array with no elements. |
| `replies` | An array containing full reply objects in |
| | the order they were posted. Your clients |
| | do not need to sort these. |
| `reply_count` | An integer representing the number of replies |
| | that have been posted in this thread. |
| `lastmod` | Unix timestamp of when the thread was last |
| | posted in, or a message was edited. |
| `edited` | Boolean of whether this post has been edited since |
| | it was made. |
| `created` | Unix timestamp of when the post was originally made. |
The following attributes are available on each reply object in `replies`:
| Name | Description |
| `post_id` | An integer of the posts ID; unlike thread and user ids, |
| | this is not a uuid but instead is incremental, starting |
| | from 1 as the first reply and going up by one for each |
| | post. |
| `author` | Author ID |
| `body` | The body the reply's text. |
| `entities` | A (possibly empty) array of entity objects for |
| | the reply `body`. |
| `lastmod` | Unix timestamp of when the post was last edited, or |
| | the same as `created` if it never was. |
| `edited` | A boolean of whether the post was edited. |
| `created` | Unix timestamp of when the reply was originally posted. |
Errors are represented in the `error` field of the response. The error
field is always present, but is usually false. If its not false, it is
an object with the fields `code` and `description`. `code` is an integer
representing the type of failure, and `description` is a string describing
the problem. `description` is intended for human consumption; in your client
code, use the error codes to handle conditions. The `presentable` column
indicates whether the `description` should be shown to users verbatim.
| Code | Presentable | Documentation |
| 0 | Never, fix | Malformed json input. `description` is the error |
| | your client | string thrown by the server-side json decoder. |
| 1 | Not a good | Internal server error. Unaltered exception text |
| | idea, the | is returned as `description`. This shouldn't |
| | exceptions | happen, and if it does, make a bug report. |
| | are not | clients should not attempt to intelligently |
| | helpful | recover from any errors of this class. |
| 2 | Nadda. | Unknown `method` was requested. |
| 3 | Fix. Your. | Missing or malformed parameter values for the |
| | Client. | requested `method`. |
| 4 | Only during | Invalid or unprovided `user`. During |
| | registration | registration, this code is returned if the name |
| | | is already occupied or contains illegal chars. |
(1)
H24PtC8N2F6, relaxed, DFT PBE-GGA; total DFT energy (no corrections) = -5.08 eV per atom
1.0
-3.875 3.875 5.479
3.875 -3.875 5.479
3.875 3.875 -5.479
H Pt C N F
24 1 8 2 6
Direct
0.003 0.818 0.282
0.032 0.513 0.781
0.033 0.783 0.593
0.182 0.464 0.184
0.190 0.440 0.407
0.217 0.810 0.251
0.251 0.032 0.519
0.268 0.749 0.781
0.280 0.997 0.816
0.440 0.033 0.251
0.464 0.280 0.282
0.487 0.268 0.519
0.513 0.732 0.481
0.536 0.720 0.718
0.560 0.967 0.749
0.720 0.003 0.184
0.732 0.251 0.219
0.749 0.968 0.481
0.783 0.190 0.749
0.810 0.560 0.593
0.818 0.536 0.816
0.967 0.217 0.407
0.968 0.487 0.219
0.997 0.182 0.718
0.500 0.500 0.000
0.138 0.517 0.313
0.174 0.862 0.379
0.205 0.826 0.687
0.483 0.795 0.621
0.517 0.205 0.379
0.795 0.174 0.313
0.826 0.138 0.621
0.862 0.483 0.687
0.250 0.750 0.500
0.750 0.250 0.500
0.286 0.364 0.650
0.321 0.321 0.000
0.364 0.714 0.078
0.636 0.286 0.922
0.679 0.679 0.000
0.714 0.636 0.350



(2)
NbH12C10S4OF4, relaxed, DFT PBE-GGA; total DFT energy (no corrections) = -5.93 eV per atom
1.0
3.877 0.000 0.000
-0.153 7.568 0.000
-0.677 -2.587 12.155
Nb H C S O F
1 12 10 4 1 4
Direct
0.000 0.000 0.000
0.229 0.053 0.754
0.252 0.486 0.907
0.330 0.582 0.129
0.344 0.856 0.227
0.450 0.355 0.127
0.489 0.996 0.356
0.511 0.004 0.644
0.550 0.645 0.873
0.656 0.144 0.773
0.670 0.418 0.871
0.748 0.514 0.093
0.771 0.947 0.246
0.077 0.469 0.544
0.322 0.274 0.674
0.333 0.447 0.735
0.436 0.110 0.713
0.459 0.503 0.853
0.541 0.497 0.147
0.564 0.890 0.287
0.667 0.553 0.265
0.678 0.726 0.326
0.923 0.531 0.456
0.161 0.245 0.539
0.187 0.612 0.668
0.813 0.388 0.332
0.839 0.755 0.461
0.500 0.000 0.000
0.001 0.773 0.053
0.036 0.134 0.154
0.964 0.866 0.846
0.999 0.227 0.947



(3)
NdH18C3S3O18F9, relaxed, DFT PBE-GGA; total DFT energy (no corrections) = -5.38 eV per atom
1.0
12.891 0.000 0.000
-6.446 11.164 0.000
0.000 0.000 7.088
Nd H C S O F
2 36 6 6 36 18
Direct
0.333 0.667 0.250
0.667 0.333 0.750
0.094 0.433 0.137
0.094 0.433 0.363
0.117 0.622 0.022
0.117 0.622 0.478
0.226 0.713 0.596
0.226 0.713 0.904
0.287 0.513 0.596
0.287 0.513 0.904
0.340 0.906 0.137
0.340 0.906 0.363
0.378 0.495 0.022
0.378 0.495 0.478
0.433 0.340 0.637
0.433 0.340 0.863
0.487 0.774 0.596
0.487 0.774 0.904
0.495 0.117 0.522
0.495 0.117 0.978
0.505 0.883 0.022
0.505 0.883 0.478
0.513 0.226 0.096
0.513 0.226 0.404
0.567 0.660 0.137
0.567 0.660 0.363
0.622 0.505 0.522
0.622 0.505 0.978
0.660 0.094 0.637
0.660 0.094 0.863
0.713 0.487 0.096
0.713 0.487 0.404
0.774 0.287 0.096
0.774 0.287 0.404
0.883 0.378 0.522
0.883 0.378 0.978
0.906 0.567 0.637
0.906 0.567 0.863
0.000 0.200 0.750
0.000 0.800 0.250
0.199 0.000 0.750
0.200 0.199 0.250
0.800 0.801 0.750
0.801 0.000 0.250
0.059 0.362 0.750
0.303 0.941 0.750
0.362 0.303 0.250
0.638 0.697 0.750
0.697 0.059 0.250
0.941 0.638 0.250
0.014 0.386 0.576
0.014 0.386 0.924
0.141 0.474 0.250
0.188 0.408 0.750
0.199 0.643 0.514
0.199 0.643 0.986
0.220 0.812 0.750
0.332 0.859 0.250
0.357 0.556 0.514
0.357 0.556 0.986
0.372 0.986 0.576
| 5 | Always | `user` is not registered. |
| 6 | Always | User `auth_hash` failed or was not provided. |
| 7 | Always | Requested thread does not exist. |
| 8 | Always | Requested thread does not allow posts. |
| 9 | Always | Message edit failed; there is a 24hr limit for |
| | | editing posts. |
| 10 | Always | User action requires `admin` privilege. |
@ -0,0 +1,37 @@
(require 'json)
(defvar bbj:host "localhost")
(defvar bbj:port "7066")
(defvar bbj:logged-in nil)
(defvar bbj:user nil)
(defvar bbj:hash nil)
(defun bbj:request (&rest cells)
(insert (json-encode cells))
(point-min) (point-max)
(format "nc %s %s" bbj:host bbj:port)))
(with-current-buffer "*Shell Command Output*"
(point-min) (point-max)))))
(bbj:request '(user . "desvox")
'(auth_hash . "nrr")
'(method . "check_auth"))
(defun bbj:login ()
(setq bbj:user (read-from-minibuffer "(BBJ Username)> "))
(if (bbj:request '(method . "is_registered")
`(target_user . ,bbj:user))
(setq bbj:hash (secure-hash 'sha256 (read-from-minibuffer "(BBJ Password)> ")))
(when (y-or-n-p (format "Register for BBJ as %s? " bbj:user))
(bbj:request (cons 'auth_hash bbj:hash)
(cons 'user bbj:user)
(cons 'avatar nil)
(cons 'bio (read-from-minibuffer "(Enter a short bio about youself!)> ")))))))
@ -0,0 +1,4 @@
from src import schema
from src import server
server.run("localhost", 7066)
@ -0,0 +1,114 @@
from uuid import uuid1
from src import schema
from time import time
from os import path
import json
PATH = "/home/desvox/bbj/"
if not path.isdir(PATH):
path.os.mkdir(PATH, mode=0o744)
if not path.isdir(path.join(PATH, "threads")):
path.os.mkdir(path.join(PATH, "threads"), mode=0o744)
with open(path.join(PATH, "userdb"), "r") as f:
USERDB = json.loads(f.read())
except FileNotFoundError:
USERDB = dict(mapname=dict())
with open(path.join(PATH, "userdb"), "w") as f:
path.os.chmod(path.join(PATH, "userdb"), 0o600)
def thread_index(key="lastmod"):
result = list()
for ID in path.os.listdir(path.join(PATH, "threads")):
thread = thread_load(ID)
return sorted(result, key=lambda i: i[key])
def thread_create(author, body, title, tags):
ID = uuid1().hex
# make sure None, False, and empty arrays are always repped consistently
tags = tags if tags else []
scheme = schema.thread(ID, author, body, title, tags)
thread_dump(ID, scheme)
return scheme
def thread_load(ID):
with open(path.join(PATH, "threads", ID), "r") as f:
return json.loads(f.read())
except FileNotFoundError:
return False
def thread_dump(ID, obj):
with open(path.join(PATH, "threads", ID), "w") as f:
def thread_reply(ID, author, body):
thread = thread_load(ID)
if not thread:
return schema.error(7, "Requested thread does not exist.")
thread["reply_count"] += 1
thread["lastmod"] = time()
reply = schema.reply(thread["reply_count"], author, body)
thread_dump(ID, thread)
return reply
def user_dbdump(dictionary):
with open(path.join(PATH, "userdb"), "w") as f:
def user_resolve(name_or_id):
check = USERDB.get(name_or_id)
if check:
return name_or_id
return USERDB["mapname"][name_or_id]
except KeyError:
return False
def user_register(auth_hash, name, avatar, bio):
if USERDB["mapname"].get(name):
return schema.error(4, "Username taken.")
ID = uuid1().hex
scheme = schema.user_internal(ID, auth_hash, name, avatar, bio, False)
USERDB.update({ID: scheme})
USERDB["mapname"].update({name: ID})
return scheme
def user_get(ID):
user = USERDB[ID]
return schema.user_external(
ID, user["name"], user["avatar"],
user["bio"], user["admin"])
def user_auth(ID, auth_hash):
return auth_hash == USERDB[ID]["auth_hash"]
def user_update(ID, **params):
return USERDB[ID]
@ -0,0 +1,77 @@
from src import schema
from src import db
from json import dumps
endpoints = {
"check_auth": ["user", "auth_hash"],
"is_registered": ["target_user"],
"thread_load": ["thread_id"],
"thread_index": [],
"thread_create": ["title", "body", "tags"],
"thread_reply": ["thread_id", "body"],
"user_register": ["user", "auth_hash", "avatar", "bio"],
"user_get": ["target_user"],
authless = [
def create_usermap(thread, index=False):
**Unrelated to this text: data records**
********
Entry 1:
# GGA-PBE P3Ru, optimized geometry
data_P3Ru
_chemical_formula_sum 'P3 Ru1'
_cell_length_a 4.405
_cell_length_b 4.405
_cell_length_c 4.405
_cell_angle_alpha 125.63
_cell_angle_beta 125.63
_cell_angle_gamma 80.50
_space_group_name_H-M_alt 'P 1'
_space_group_IT_number 1
loop_
_space_group_symop_operation_xyz
'x,y,z'
loop_
_atom_site_label
_atom_site_fract_x
_atom_site_fract_y
_atom_site_fract_z
_atom_site_occupancy
P1 0.000 0.000 0.000 1
P2 0.250 0.750 0.500 1
P3 0.750 0.250 0.500 1
Ru1 0.500 0.500 0.000 1
# **ΔE to the lowest computed polymorph**: 923 meV/atom
# **ΔE_f**: 400 meV per atom
# **Crystal system**: tetragonal
# **Magnetic moment**: 0.00 μB/cell
# **V**: 13.617 Å³/atom


Entry 2:
# GGA-PBE PRu5, optimized geometry
data_PRu5
_chemical_formula_sum 'P1 Ru5'
_cell_length_a 4.952
_cell_length_b 4.952
_cell_length_c 6.534
_cell_angle_alpha 110.34
_cell_angle_beta 110.34
_cell_angle_gamma 33.12
_space_group_name_H-M_alt 'P 1'
_space_group_IT_number 1
loop_
_space_group_symop_operation_xyz
'x,y,z'
loop_
_atom_site_label
_atom_site_fract_x
_atom_site_fract_y
_atom_site_fract_z
_atom_site_occupancy
P1 0.000 0.000 0.000 1
Ru1 0.000 0.000 0.500 1
Ru2 0.325 0.325 0.685 1
Ru3 0.363 0.363 0.137 1
Ru4 0.637 0.637 0.863 1
Ru5 0.675 0.675 0.315 1
# **ΔE to the lowest computed polymorph**: 0 meV/atom
# **ΔE_f**: -48 meV per atom
# **Crystal system**: monoclinic
# **Magnetic moment**: 0.00 μB/cell
# **V**: 13.600 Å³/atom


Entry 3:
# GGA-PBE PRu2, optimized geometry
data_PRu2
_chemical_formula_sum 'P1 Ru2'
_cell_length_a 3.626
_cell_length_b 3.626
_cell_length_c 3.987
_cell_angle_alpha 90.00
_cell_angle_beta 90.00
_cell_angle_gamma 120.00
_space_group_name_H-M_alt 'P 1'
_space_group_IT_number 1
loop_
_space_group_symop_operation_xyz
'x,y,z'
loop_
_atom_site_label
_atom_site_fract_x
_atom_site_fract_y
_atom_site_fract_z
_atom_site_occupancy
P1 0.000 0.000 0.000 1
Ru1 0.333 0.667 0.234 1
Ru2 0.667 0.333 0.766 1
# **ΔE_f**: 5 meV per atom
# **Crystal system**: trigonal
# **Magnetic moment**: 0.00 μB/cell
# **V**: 15.130 Å³/atom


Entry 4:
# GGA-PBE P3Ru5, optimized geometry
data_P3Ru5
_chemical_formula_sum 'P6 Ru10'
_cell_length_a 5.508
_cell_length_b 6.827
_cell_length_c 6.861
_cell_angle_alpha 81.15
_cell_angle_beta 66.99
_cell_angle_gamma 67.57
_space_group_name_H-M_alt 'P 1'
_space_group_IT_number 1
loop_
_space_group_symop_operation_xyz
'x,y,z'
loop_
_atom_site_label
_atom_site_fract_x
_atom_site_fract_y
_atom_site_fract_z
_atom_site_occupancy
P1 0.000 0.000 0.000 1
P2 0.040 0.520 0.790 1
P3 0.351 0.523 0.137 1
P4 0.467 0.055 0.988 1
P5 0.555 0.807 0.482 1
P6 0.845 0.170 0.497 1
Ru1 0.083 0.857 0.701 1
Ru2 0.223 0.876 0.256 1
Ru3 0.363 0.179 0.686 1
Ru4 0.484 0.506 0.429 1
Ru5 0.551 0.122 0.268 1
Ru6 0.580 0.750 0.822 1
Ru7 0.718 0.290 0.853 1
Ru8 0.885 0.700 0.129 1
Ru9 0.985 0.465 0.477 1
Ru10 0.998 0.288 0.119 1
# **ΔE to the lowest computed polymorph**: 0 meV/atom
# **ΔE_f**: -349 meV per atom
# **Crystal system**: triclinic
********
if index:
return {user: db.user_get(user) for user in
{i["author"] for i in thread}}
result = {reply["author"] for reply in thread["replies"]}
return {x: db.user_get(x) for x in result}
def is_registered(json):
return dumps(bool(db.USERDB["mapname"].get(json["target_user"])))
def check_auth(json):
return dumps(bool(db.user_auth(json["user"], json["auth_hash"])))
def user_register(json):
return schema.response(
def thread_index(json):
index = db.thread_index()
return schema.response(
{"threads": index}, create_usermap(index, True))
def thread_load(json):
thread = db.thread_load(json["thread_id"])
if not thread:
return schema.error(7, "Requested thread does not exist")
return schema.response(thread, create_usermap(thread))
def thread_create(json):
thread = db.thread_create(
return schema.response(thread, create_usermap(thread))
def thread_reply(json):
thread = db.thread_reply(
return schema.response(thread)
@ -0,0 +1,77 @@
from time import time
def base():
return {
"usermap": {},
"error": False
def response(dictionary, usermap=None):
result = base()
if usermap:
result["usermap"] = usermap
return result
def error(code, description):
result = base()
"error": {
"description": description,
"code": code
return result
def user_internal(ID, auth_hash, name, avatar, bio, admin):
return {
"user_id": ID,
"avatar": avatar,
"name": name,
"bio": bio,
"admin": admin,
"auth_hash": auth_hash
def user_external(ID, name, avatar, bio, admin):
return {
"user_id": ID,
"avatar": avatar,
"name": name,
"bio": bio,
"admin": admin
def thread(ID, author, body, title, tags):
now = time()
return {
"thread_id": ID,
"author": author,
"body": body,
"entities": list(),
"title": title,
"tags": tags,
"replies": list(),
"reply_count": 0,
"lastmod": now,
"edited": False,
"created": now
def reply(ID, author, body):
now = time()
return {
"post_id": ID,
"author": author,
"body": body,
"entities": list(),
"lastmod": now,
"edited": False,
"created": now
@ -0,0 +1,78 @@
from socketserver import StreamRequestHandler, TCPServer
from src import endpoints
from src import schema
from src import db
import json
class RequestHandler(StreamRequestHandler):
Receieves and processes json input; dispatches input to the
approproate endpoint, or responds with error objects.
def reply(self, dictionary):
self.wfile.write(bytes(json.dumps(dictionary), "utf8"))
def handle(self):
request = json.loads(str(self.rfile.read(), "utf8"))
endpoint = request.get("method")
if endpoint not in endpoints.endpoints:
raise IndexError("Invalid endpoint")
# check to make sure all the arguments for endpoint are provided
elif any([key not in request for key in endpoints.endpoints[endpoint]]):
raise ValueError("{} requires: {}".format(
endpoint, ", ".join(endpoints.endpoints[endpoint])))
elif endpoint not in endpoints.authless:
if not request.get("user"):
raise ConnectionError("No username provided.")
user = db.user_resolve(request["user"])
request["user"] = user
if not user:
raise ConnectionAbortedError("User not registered")
elif endpoint != "check_auth" and not db.user_auth(user, request.get("auth_hash")):
raise ConnectionRefusedError("Authorization failed.")
except json.decoder.JSONDecodeError as E:
return self.reply(schema.error(0, str(E)))
except IndexError as E:
return self.reply(schema.error(2, str(E)))
except ValueError as E:
return self.reply(schema.error(3, str(E)))
except ConnectionError as E:
return self.reply(schema.error(4, str(E)))
except ConnectionAbortedError as E:
return self.reply(schema.error(5, str(E)))
except ConnectionRefusedError as E:
return self.reply(schema.error(6, str(E)))
except Exception as E:
return self.reply(schema.error(1, str(E)))
self.reply(eval("endpoints." + endpoint)(request))
except Exception as E:
self.reply(schema.error(1, str(E)))
def run(host, port):
server = TCPServer((host, port), RequestHandler)
except KeyboardInterrupt:
Reference in New Issue